~~~
Theoretical XRD peak list
Compound: Bi3Te5Pb
Radiation: copper Kα
Structure: a DFT-relaxed cell (GGA-PBE, the Materials Project)
No peak broadening, texture or thermal motion is included.

Lattice parameters (Å, degrees): 4.6267 4.6267 17.1372 90.00 90.00 120.00
Space group P3m1 (No. 156)
Inequivalent atoms, fractional coordinates:
Bi: 0.0000 0.0000 0.0000 (multiplicity 1)
Bi: 0.3333 0.6667 0.4478 (multiplicity 1)
Bi: 0.6667 0.3333 0.2259 (multiplicity 1)
Te: 0.0000 0.0000 0.3334 (multiplicity 1)
Te: 0.3333 0.6667 0.1257 (multiplicity 1)
Te: 0.3333 0.6667 0.7695 (multiplicity 1)
Te: 0.6667 0.3333 0.5415 (multiplicity 1)
Te: 0.6667 0.3333 0.9096 (multiplicity 1)
Pb: 0.0000 0.0000 0.6776 (multiplicity 1)

Main lines, in order of rising 2θ (2θ = 10–90°):
| hkl | two_theta | Rel. int. |
| --- | --- | --- |
| 0 1 3 | 27.2 | 100 |
| 1 0 6 | 38.7 | 36 |
| 1 1 0 | 38.9 | 40 |
| 2 0 3 | 48.1 | 21 |
| 0 2 6 | 56.1 | 13 |
| 1 1 9 | 63.3 | 15 |
| 1 2 3 | 63.6 | 19 |
| 2 1 6 | 70.4 | 13 |
| 3 0 0 | 70.5 | 7 |
| 3 1 3 | 89.9 | 8 |


(1)
# Pr4MnSb9
Theoretical powder X-ray diffraction pattern, a wavelength of 1.5418 Å. Input: the PBE geometry in the Materials Project.
Lines closer than 0.1° are merged.

Largest 12 diffraction maxima, sorted by position, 10° ≤ 2θ ≤ 90°:
- 2θ = 28.5°, I 16
- 2θ = 29.1°, I 33
- 2θ = 29.6°, I 24
- 2θ = 30.3°, I 18
- 2θ = 31.6°, I 100
- 2θ = 31.7°, I 74
- 2θ = 33.5°, I 18
- 2θ = 34.6°, I 48
- 2θ = 36.3°, I 21
- 2θ = 41.1°, I 18
- 2θ = 42.7°, I 46
- 2θ = 71.3°, I 16

Crystal structure
a = 24.373 Å, b = 4.236 Å, c = 15.788 Å
α = 90.00°, β = 97.90°, γ = 90.00°
Space group C2/m (No. 12)
One atom of each set of equivalent atoms:
Pr: 0.059 0.000 0.319
Pr: 0.066 0.000 0.893
Pr: 0.113 0.000 0.642
Pr: 0.206 0.000 0.113
Mn: 0.230 0.500 0.375
Sb: 0.000 0.000 0.500
Sb: 0.000 0.500 0.000
Sb: 0.040 0.500 0.737
Sb: 0.072 0.000 0.114
Sb: 0.091 0.500 0.480
Sb: 0.142 0.500 0.229
Sb: 0.166 0.500 0.958
Sb: 0.192 0.000 0.834
Sb: 0.193 0.000 0.471
Sb: 0.218 0.500 0.694

(2)
# PrMnSi
Theoretical powder X-ray diffraction pattern, a wavelength of 1.5418 Å. Input: the PBE geometry in the Materials Project.
Lines closer than 0.1° are merged.

Largest 12 diffraction maxima, sorted by position, 10° ≤ 2θ ≤ 90°:
- 2θ = 25.2°, I 100
- 2θ = 31.8°, I 36
- 2θ = 32.5°, I 99
- 2θ = 33.9°, I 55
- 2θ = 35.2°, I 30
- 2θ = 39.7°, I 75
- 2θ = 45.5°, I 52
- 2θ = 52.7°, I 27
- 2θ = 53.1°, I 34
- 2θ = 57.0°, I 39
- 2θ = 58.8°, I 26
- 2θ = 72.5°, I 27

Crystal structure
a = 3.985 Å, b = 3.985 Å, c = 7.647 Å
α = 90.00°, β = 90.00°, γ = 90.00°
Space group P4/nmm (No. 129, origin choice 2)
One atom of each set of equivalent atoms:
Pr: 0.250 0.250 0.175
Mn: 0.250 0.750 0.500
Si: 0.250 0.250 0.680

(3)
# Pr2MnSi2
Theoretical powder X-ray diffraction pattern, a wavelength of 1.5418 Å. Input: the PBE geometry in the Materials Project.
Lines closer than 0.1° are merged.

Largest 12 diffraction maxima, sorted by position, 10° ≤ 2θ ≤ 90°:
- 2θ = 18.7°, I 47
- 2θ = 25.1°, I 35
- 2θ = 30.4°, I 100
- 2θ = 31.5°, I 18
- 2θ = 36.0°, I 37
- 2θ = 39.8°, I 41
- 2θ = 43.6°, I 37
- 2θ = 44.4°, I 28
- 2θ = 47.8°, I 17
- 2θ = 50.9°, I 20
- 2θ = 61.0°, I 17
- 2θ = 71.9°, I 16

Crystal structure
a = 2.936 Å, b = 2.936 Å, c = 14.207 Å
α = 90.00°, β = 90.00°, γ = 90.00°
Space group P4/mmm (No. 123)
One atom of each set of equivalent atoms:
Pr: 0.000 0.000 0.129
Mn: 0.000 0.000 0.500
Si: 0.000 0.000 0.337

(4)
# Pr2MnSn4
Theoretical powder X-ray diffraction pattern, a wavelength of 1.5418 Å. Input: the PBE geometry in the Materials Project.
Lines closer than 0.1° are merged.

Largest 12 diffraction maxima, sorted by position, 10° ≤ 2θ ≤ 90°:
- 2θ = 31.1°, I 15
- 2θ = 31.2°, I 100
- 2θ = 32.2°, I 10
- 2θ = 36.7°, I 13
- 2θ = 38.4°, I 21
- 2θ = 38.7°, I 21
- 2θ = 50.2°, I 8
- 2θ = 50.4°, I 8
- 2θ = 54.2°, I 9
- 2θ = 55.7°, I 14
- 2θ = 65.0°, I 13
- 2θ = 65.4°, I 12

Crystal structure
a = 4.653 Å, b = 4.689 Å, c = 17.281 Å
α = 90.00°, β = 90.00°, γ = 90.00°
Space group Amm2 (No. 38)
~~~

Your job: return every line further above that contains the word "texture".

No peak broadening, texture or thermal motion is included.